_Listing_
~~~
PmCd4Rh2: relaxed, GGA-PBE.

Values from the calculation:
VASP energy = -3.54 eV per atom
total moment = 0.000 μB/f.u.

Geometry as POSCAR:
```
PmCd4Rh2
1.0
2.1171 -8.4278 0.0000
2.1171 8.4278 0.0000
0.0000 0.0000 4.2329
Pm Cd Rh
1 4 2
Direct
0.0000 0.0000 0.0000
0.1791 0.8209 0.5000
0.3234 0.6766 0.0000
0.6766 0.3234 0.0000
0.8209 0.1791 0.5000
0.4272 0.5728 0.5000
0.5728 0.4272 0.5000
```
~~~
_What to do_
Work out how many lines further above have the word "calculation" in them; a number is enough.
_Completed_
1